The reader should reproduce the contents below without additions.

-- begin --
Calculated powder diffractogram of Mg5In for CuKα, from a crystal structure in the Materials Project, relaxed with GGA-PBE.
Intensities are scaled so that the largest is 100.

Peak list (12 most intense, 2θ from 5° to 70°, sorted by position)
2θ = 10.61°, I 53
2θ = 17.12°, I 19
2θ = 20.18°, I 26
2θ = 21.31°, I 12
2θ = 27.46°, I 13
2θ = 32.16°, I 32
2θ = 33.21°, I 15
2θ = 34.64°, I 25
2θ = 36.65°, I 100
2θ = 47.99°, I 20
2θ = 63.40°, I 19
2θ = 68.78°, I 12

Cell and atoms:
a b c (Å): 5.1788 8.4938 8.4938
angles (deg): 21.84 90.00 90.00
Positions (direct):
Mg  0.0000  0.0000  0.0000
Mg  0.0000  0.3317  0.3317
Mg  0.0000  0.6648  0.6648
Mg  0.5000  0.2200  0.2200
Mg  0.5000  0.5546  0.5546
In  0.5000  0.8880  0.8880

~~~~~

# PmBe2Pt10
Simulated XRD peak list, a wavelength of 1.5418 Å. Input: a cell relaxed with GGA-PBE.

Largest 10 diffraction maxima, low angle first, 2θ = 5–70°:
| Position (°2θ) | d (Å) | Rel. int. | h k l |
| --- | --- | --- | --- |
| 14.16 | 6.254 | 26 | 0 2 0 |
| 31.93 | 2.803 | 36 | 0 4 2 |
| 34.25 | 2.618 | 42 | 2 0 0 |
| 34.77 | 2.580 | 49 | 1 3 3 |
| 39.96 | 2.256 | 39 | 2 2 2 |
| 40.24 | 2.241 | 61 | 1 1 5 |
| 40.58 | 2.223 | 100 | 0 4 4 |
| 44.95 | 2.017 | 36 | 2 0 4 |
| 45.17 | 2.007 | 48 | 2 4 0 |
| 45.38 | 1.999 | 30 | 1 3 5 |

Cell and atoms:
```
data_PmBe2Pt10
_cell_length_a 5.2359
_cell_length_b 12.5084
_cell_length_c 12.6496
_cell_angle_alpha 90.00
_cell_angle_beta 90.00
_cell_angle_gamma 90.00
_space_group_name_H-M_alt 'F m m m'
_space_group_IT_number 69
_space_group_name_Hall '-F 2 2'
loop_
_atom_site_label
_atom_site_type_symbol
_atom_site_fract_x
_atom_site_fract_y
_atom_site_fract_z
_atom_site_occupancy
Pm1 Pm 0.0000 0.0000 0.0000 1
Be1 Be 0.2500 0.0000 0.2500 1
Pt1 Pt 0.0000 0.1048 0.3809 1
Pt2 Pt 0.0000 0.1600 0.1769 1
Pt3 Pt 0.2500 0.2500 0.0000 1
```

~~~~~

This entry pairs a crystal structure of CaYO3 with its simulated powder diffractogram. Radiation: λ = 1.5418 Å (Cu Kα). Structure: a structure optimized by DFT (PBE).
Neutral-atom scattering factors, no anomalous dispersion.

Atomic structure:
```
data_CaYO3
_chemical_formula_sum 'Ca1 Y1 O3'
_symmetry_space_group_name_H-M 'P m -3 m'
_symmetry_Int_Tables_number 221
_symmetry_space_group_name_Hall '-P 4 2 3'
_cell_length_a 4.3455
_cell_length_b 4.3455
_cell_length_c 4.3455
_cell_angle_alpha 90.00
_cell_angle_beta 90.00
_cell_angle_gamma 90.00
loop_
_atom_site_label
_atom_site_type_symbol
_atom_site_fract_x
_atom_site_fract_y
_atom_site_fract_z
Ca1 Ca 0.0000 0.0000 0.0000
Y1 Y 0.5000 0.5000 0.5000
O1 O 0.0000 0.5000 0.5000
```

Main lines, by intensity (10° ≤ 2θ ≤ 80°):
2θ = 29.06°, I 100, hkl 1 1 0
2θ = 41.56°, I 44, hkl 2 0 0
2θ = 51.51°, I 39, hkl 2 1 1
2θ = 20.44°, I 39, hkl 1 0 0
2θ = 60.24°, I 26, hkl 2 2 0
2θ = 68.25°, I 17, hkl 3 1 0
2θ = 46.74°, I 16, hkl 2 1 0
2θ = 75.84°, I 8, hkl 2 2 2
2θ = 64.31°, I 7, hkl 3 0 0
2θ = 79.53°, I 3, hkl 3 2 0
-- stop --

Calculated powder diffractogram of Mg5In for CuKα, from a crystal structure in the Materials Project, relaxed with GGA-PBE.
Intensities are scaled so that the largest is 100.

Peak list (12 most intense, 2θ from 5° to 70°, sorted by position)
2θ = 10.61°, I 53
2θ = 17.12°, I 19
2θ = 20.18°, I 26
2θ = 21.31°, I 12
2θ = 27.46°, I 13
2θ = 32.16°, I 32
2θ = 33.21°, I 15
2θ = 34.64°, I 25
2θ = 36.65°, I 100
2θ = 47.99°, I 20
2θ = 63.40°, I 19
2θ = 68.78°, I 12

Cell and atoms:
a b c (Å): 5.1788 8.4938 8.4938
angles (deg): 21.84 90.00 90.00
Positions (direct):
Mg  0.0000  0.0000  0.0000
Mg  0.0000  0.3317  0.3317
Mg  0.0000  0.6648  0.6648
Mg  0.5000  0.2200  0.2200
Mg  0.5000  0.5546  0.5546
In  0.5000  0.8880  0.8880

~~~~~

# PmBe2Pt10
Simulated XRD peak list, a wavelength of 1.5418 Å. Input: a cell relaxed with GGA-PBE.

Largest 10 diffraction maxima, low angle first, 2θ = 5–70°:
| Position (°2θ) | d (Å) | Rel. int. | h k l |
| --- | --- | --- | --- |
| 14.16 | 6.254 | 26 | 0 2 0 |
| 31.93 | 2.803 | 36 | 0 4 2 |
| 34.25 | 2.618 | 42 | 2 0 0 |
| 34.77 | 2.580 | 49 | 1 3 3 |
| 39.96 | 2.256 | 39 | 2 2 2 |
| 40.24 | 2.241 | 61 | 1 1 5 |
| 40.58 | 2.223 | 100 | 0 4 4 |
| 44.95 | 2.017 | 36 | 2 0 4 |
| 45.17 | 2.007 | 48 | 2 4 0 |
| 45.38 | 1.999 | 30 | 1 3 5 |

Cell and atoms:
```
data_PmBe2Pt10
_cell_length_a 5.2359
_cell_length_b 12.5084
_cell_length_c 12.6496
_cell_angle_alpha 90.00
_cell_angle_beta 90.00
_cell_angle_gamma 90.00
_space_group_name_H-M_alt 'F m m m'
_space_group_IT_number 69
_space_group_name_Hall '-F 2 2'
loop_
_atom_site_label
_atom_site_type_symbol
_atom_site_fract_x
_atom_site_fract_y
_atom_site_fract_z
_atom_site_occupancy
Pm1 Pm 0.0000 0.0000 0.0000 1
Be1 Be 0.2500 0.0000 0.2500 1
Pt1 Pt 0.0000 0.1048 0.3809 1
Pt2 Pt 0.0000 0.1600 0.1769 1
Pt3 Pt 0.2500 0.2500 0.0000 1
```

~~~~~

This entry pairs a crystal structure of CaYO3 with its simulated powder diffractogram. Radiation: λ = 1.5418 Å (Cu Kα). Structure: a structure optimized by DFT (PBE).
Neutral-atom scattering factors, no anomalous dispersion.

Atomic structure:
```
data_CaYO3
_chemical_formula_sum 'Ca1 Y1 O3'
_symmetry_space_group_name_H-M 'P m -3 m'
_symmetry_Int_Tables_number 221
_symmetry_space_group_name_Hall '-P 4 2 3'
_cell_length_a 4.3455
_cell_length_b 4.3455
_cell_length_c 4.3455
_cell_angle_alpha 90.00
_cell_angle_beta 90.00
_cell_angle_gamma 90.00
loop_
_atom_site_label
_atom_site_type_symbol
_atom_site_fract_x
_atom_site_fract_y
_atom_site_fract_z
Ca1 Ca 0.0000 0.0000 0.0000
Y1 Y 0.5000 0.5000 0.5000
O1 O 0.0000 0.5000 0.5000
```

Main lines, by intensity (10° ≤ 2θ ≤ 80°):
2θ = 29.06°, I 100, hkl 1 1 0
2θ = 41.56°, I 44, hkl 2 0 0
2θ = 51.51°, I 39, hkl 2 1 1
2θ = 20.44°, I 39, hkl 1 0 0
2θ = 60.24°, I 26, hkl 2 2 0
2θ = 68.25°, I 17, hkl 3 1 0
2θ = 46.74°, I 16, hkl 2 1 0
2θ = 75.84°, I 8, hkl 2 2 2
2θ = 64.31°, I 7, hkl 3 0 0
2θ = 79.53°, I 3, hkl 3 2 0